== Input ==
Computed, not measured: C45H89Br5Cl2K2LiNO11V as an isolated structure, with ωB97M-V/def2-TZVPD.

Summary:
Frontier orbital gap ... 1.03 eV
Charge ... +1

Last column: Mulliken charge in e.
Cartesian coordinates (Å):
C  1.1473  0.9363  6.8857  -0.60
C  2.6135  0.2868  6.4106  -0.19
C  3.5283  1.4485  5.6528  -0.77
C  3.9719  1.0522  4.1240  -0.87
C  2.7907  1.5795  3.1108  -0.83
C  1.8132  0.2996  2.8026  1.44
C  2.3990  -0.7776  1.7141  0.48
C  1.5790  -0.4994  0.2938  -0.93
C  0.1941  -1.4041  0.2590  -0.03
O  -1.0110  -0.6688  0.6739  -0.17
C  -1.9317  -1.5830  1.4287  -1.31
C  -1.4203  -1.5461  2.9843  0.22
Br  -1.4584  0.1124  4.1717  -0.10
C  -0.8311  -2.7695  3.6637  0.02
C  -0.2809  -2.6528  5.2388  -0.05
Br  -0.6119  -4.5528  2.7880  -0.22
C  -3.4492  -0.9145  1.2074  0.74
C  -4.3855  -1.4657  2.4336  -1.12
O  -4.3056  -2.9502  2.6298  -0.34
C  -5.1041  -3.2693  3.8541  -0.50
C  -4.2359  -3.1827  5.2456  -0.11
O  -3.5684  -4.4568  5.5699  -0.24
C  -3.4286  -4.6451  7.0251  -0.49
C  -2.0102  -5.4269  7.4415  -0.19
O  -1.8570  -6.7373  6.7902  -0.34
C  -0.5339  -6.9028  6.1679  0.19
C  0.0905  -8.4409  6.3691  -0.94
O  -3.2191  0.5633  1.3377  -0.15
C  -4.4666  1.2580  1.6891  -0.42
C  -3.9199  -1.3719  -0.2940  0.30
Cl  -5.6482  -2.0515  -0.4027  -0.21
C  -3.8271  -0.1723  -1.4339  -0.32
C  -2.3499  -0.1214  -2.2003  0.02
H  0.8160  1.8197  6.1582  0.04
H  0.2966  0.1150  6.9538  0.04
H  1.3034  1.3705  7.9756  0.30
H  2.4388  -0.6721  5.7584  0.00
H  3.1220  -0.0909  7.4209  0.39
H  4.4781  1.6436  6.3111  0.29
H  2.8729  2.4436  5.7117  0.22
H  3.9492  -0.1372  4.0681  0.44
H  4.9866  1.5134  3.7663  0.56
H  3.1710  2.0202  2.0950  0.26
H  2.1208  2.3957  3.6591  0.26
H  0.7933  0.7287  2.3609  0.07
H  1.5109  -0.1902  3.8454  -1.03
H  3.5583  -0.6543  1.6100  0.04
H  2.0978  -1.8558  2.1171  -0.25
H  2.3276  -0.7499  -0.5773  0.35
H  1.3313  0.6653  0.2425  0.28
H  0.3792  -2.3843  0.8751  0.05
H  0.0058  -1.7342  -0.8723  0.25
H  -1.8148  -2.6305  0.9212  0.90
H  -1.0707  -2.1853  5.9654  0.25
H  0.0315  -3.7401  5.6161  -0.11
H  0.7310  -2.0464  5.1721  -0.22
H  -4.1040  -1.0085  3.4999  0.29
H  -5.5427  -1.2381  2.3089  0.53
H  -5.5594  -4.3692  3.8182  0.29
H  -6.0358  -2.5515  3.9847  0.30
H  -5.0289  -2.9966  6.1164  0.42
H  -3.5088  -2.2383  5.2956  0.05
H  -3.4162  -3.6351  7.6438  0.36
H  -4.3111  -5.3449  7.4076  0.27
H  -1.1566  -4.6569  7.2153  0.03
H  -1.9949  -5.6088  8.6155  0.25
H  -0.6708  -6.7773  4.9997  -0.03
H  0.2887  -6.1596  6.5438  0.16
H  -0.4020  -9.1506  5.5566  0.26
H  1.2512  -8.4106  6.0935  0.27
H  -0.0625  -8.8558  7.4543  0.28
H  -4.3874  2.3658  1.2619  -0.16
H  -5.4108  0.7886  1.1294  0.32
H  -4.6979  1.3053  2.8351  0.22
H  -3.2091  -2.2386  -0.7053  0.23
H  -4.5950  -0.4995  -2.2879  0.47
H  -4.1963  0.8728  -1.0601  0.06
H  -2.4479  0.1420  -3.3492  -0.47
H  -1.9158  -1.2333  -2.1698  0.14
H  -1.5633  0.5377  -1.6282  0.02
K  4.9875  0.2803  2.2034  0.77
C  -2.4626  3.8865  -1.0174  -0.90
C  -3.5342  3.5978  -2.0818  1.18
C  -4.3402  4.8792  -2.3526  -0.71
O  -4.3628  2.6940  -1.5885  -0.73
H  -2.8947  4.2284  -0.0677  0.15
H  -1.8541  2.9974  -0.8088  -0.07
H  -1.7818  4.6723  -1.3662  0.47
H  -2.9855  3.3865  -3.0105  -0.36
H  -4.8423  5.2580  -1.4526  -0.45
H  -5.1063  4.7167  -3.1213  0.39
H  -3.6787  5.6751  -2.7152  0.43
O  6.3492  3.1054  1.8383  -0.95
V  6.8822  4.6470  1.1859  1.27
O  7.4152  6.1886  0.5335  -0.88
Cl  -0.1787  3.1948  6.4085  -0.73
K  0.6850  5.6280  5.7479  0.86
C  7.1471  -1.8418  5.3321  0.75
O  6.6535  -1.2666  4.3744  -0.55
O  6.9743  -3.0331  5.6144  -0.49
O  7.8957  -1.3216  6.1673  -0.39
Li  4.4429  -3.1719  2.9222  0.94
C  -4.2501  -0.0427  -5.8329  -1.19
C  -2.8120  -0.2746  -6.2706  -0.55
C  -1.9279  0.9831  -6.3184  -0.60
C  -2.5128  2.2391  -6.9789  -0.95
N  -2.4607  2.2793  -8.5246  0.58
C  -3.4341  3.3749  -9.0212  -0.56
C  -2.5961  4.6313  -9.0279  -0.53
C  -1.2738  4.1488  -9.5823  -0.62
C  -1.0686  2.7516  -9.0130  -0.47

== To do ==
What is needed: quote the calculation results further up without additions.

== Solution ==
Computed, not measured: C45H89Br5Cl2K2LiNO11V as an isolated structure, with ωB97M-V/def2-TZVPD.

Summary:
Frontier orbital gap ... 1.03 eV
Charge ... +1

Last column: Mulliken charge in e.
Cartesian coordinates (Å):
C  1.1473  0.9363  6.8857  -0.60
C  2.6135  0.2868  6.4106  -0.19
C  3.5283  1.4485  5.6528  -0.77
C  3.9719  1.0522  4.1240  -0.87
C  2.7907  1.5795  3.1108  -0.83
C  1.8132  0.2996  2.8026  1.44
C  2.3990  -0.7776  1.7141  0.48
C  1.5790  -0.4994  0.2938  -0.93
C  0.1941  -1.4041  0.2590  -0.03
O  -1.0110  -0.6688  0.6739  -0.17
C  -1.9317  -1.5830  1.4287  -1.31
C  -1.4203  -1.5461  2.9843  0.22
Br  -1.4584  0.1124  4.1717  -0.10
C  -0.8311  -2.7695  3.6637  0.02
C  -0.2809  -2.6528  5.2388  -0.05
Br  -0.6119  -4.5528  2.7880  -0.22
C  -3.4492  -0.9145  1.2074  0.74
C  -4.3855  -1.4657  2.4336  -1.12
O  -4.3056  -2.9502  2.6298  -0.34
C  -5.1041  -3.2693  3.8541  -0.50
C  -4.2359  -3.1827  5.2456  -0.11
O  -3.5684  -4.4568  5.5699  -0.24
C  -3.4286  -4.6451  7.0251  -0.49
C  -2.0102  -5.4269  7.4415  -0.19
O  -1.8570  -6.7373  6.7902  -0.34
C  -0.5339  -6.9028  6.1679  0.19
C  0.0905  -8.4409  6.3691  -0.94
O  -3.2191  0.5633  1.3377  -0.15
C  -4.4666  1.2580  1.6891  -0.42
C  -3.9199  -1.3719  -0.2940  0.30
Cl  -5.6482  -2.0515  -0.4027  -0.21
C  -3.8271  -0.1723  -1.4339  -0.32
C  -2.3499  -0.1214  -2.2003  0.02
H  0.8160  1.8197  6.1582  0.04
H  0.2966  0.1150  6.9538  0.04
H  1.3034  1.3705  7.9756  0.30
H  2.4388  -0.6721  5.7584  0.00
H  3.1220  -0.0909  7.4209  0.39
H  4.4781  1.6436  6.3111  0.29
H  2.8729  2.4436  5.7117  0.22
H  3.9492  -0.1372  4.0681  0.44
H  4.9866  1.5134  3.7663  0.56
H  3.1710  2.0202  2.0950  0.26
H  2.1208  2.3957  3.6591  0.26
H  0.7933  0.7287  2.3609  0.07
H  1.5109  -0.1902  3.8454  -1.03
H  3.5583  -0.6543  1.6100  0.04
H  2.0978  -1.8558  2.1171  -0.25
H  2.3276  -0.7499  -0.5773  0.35
H  1.3313  0.6653  0.2425  0.28
H  0.3792  -2.3843  0.8751  0.05
H  0.0058  -1.7342  -0.8723  0.25
H  -1.8148  -2.6305  0.9212  0.90
H  -1.0707  -2.1853  5.9654  0.25
H  0.0315  -3.7401  5.6161  -0.11
H  0.7310  -2.0464  5.1721  -0.22
H  -4.1040  -1.0085  3.4999  0.29
H  -5.5427  -1.2381  2.3089  0.53
H  -5.5594  -4.3692  3.8182  0.29
H  -6.0358  -2.5515  3.9847  0.30
H  -5.0289  -2.9966  6.1164  0.42
H  -3.5088  -2.2383  5.2956  0.05
H  -3.4162  -3.6351  7.6438  0.36
H  -4.3111  -5.3449  7.4076  0.27
H  -1.1566  -4.6569  7.2153  0.03
H  -1.9949  -5.6088  8.6155  0.25
H  -0.6708  -6.7773  4.9997  -0.03
H  0.2887  -6.1596  6.5438  0.16
H  -0.4020  -9.1506  5.5566  0.26
H  1.2512  -8.4106  6.0935  0.27
H  -0.0625  -8.8558  7.4543  0.28
H  -4.3874  2.3658  1.2619  -0.16
H  -5.4108  0.7886  1.1294  0.32
H  -4.6979  1.3053  2.8351  0.22
H  -3.2091  -2.2386  -0.7053  0.23
H  -4.5950  -0.4995  -2.2879  0.47
H  -4.1963  0.8728  -1.0601  0.06
H  -2.4479  0.1420  -3.3492  -0.47
H  -1.9158  -1.2333  -2.1698  0.14
H  -1.5633  0.5377  -1.6282  0.02
K  4.9875  0.2803  2.2034  0.77
C  -2.4626  3.8865  -1.0174  -0.90
C  -3.5342  3.5978  -2.0818  1.18
C  -4.3402  4.8792  -2.3526  -0.71
O  -4.3628  2.6940  -1.5885  -0.73
H  -2.8947  4.2284  -0.0677  0.15
H  -1.8541  2.9974  -0.8088  -0.07
H  -1.7818  4.6723  -1.3662  0.47
H  -2.9855  3.3865  -3.0105  -0.36
H  -4.8423  5.2580  -1.4526  -0.45
H  -5.1063  4.7167  -3.1213  0.39
H  -3.6787  5.6751  -2.7152  0.43
O  6.3492  3.1054  1.8383  -0.95
V  6.8822  4.6470  1.1859  1.27
O  7.4152  6.1886  0.5335  -0.88
Cl  -0.1787  3.1948  6.4085  -0.73
K  0.6850  5.6280  5.7479  0.86
C  7.1471  -1.8418  5.3321  0.75
O  6.6535  -1.2666  4.3744  -0.55
O  6.9743  -3.0331  5.6144  -0.49
O  7.8957  -1.3216  6.1673  -0.39
Li  4.4429  -3.1719  2.9222  0.94
C  -4.2501  -0.0427  -5.8329  -1.19
C  -2.8120  -0.2746  -6.2706  -0.55
C  -1.9279  0.9831  -6.3184  -0.60
C  -2.5128  2.2391  -6.9789  -0.95
N  -2.4607  2.2793  -8.5246  0.58
C  -3.4341  3.3749  -9.0212  -0.56
C  -2.5961  4.6313  -9.0279  -0.53
C  -1.2738  4.1488  -9.5823  -0.62
C  -1.0686  2.7516  -9.0130  -0.47